A Much Needed Rest

It’s the 4th January 2022 and my art studio is a mess! But I don’t really care… I made myself a promise as the kids split up from school for the Christmas break that I would take the two weeks off and give myself (and my studio) a much-needed rest.

2021 was a full year with a mix of being featured on SkyArts LAOTY, being shortlisted for the Glyndebourne Tour Art international competition, becoming a full member of Chalk Gallery, and putting on a major art open call here in Sussex.

Full-on is good but some of the above were not part of my original plans for 2021 and boy did I pay for them with my health. For those of you that are new here, I live with a rare type of blood cancer and during 2021 was in active treatment. I’ve had to learn the hard way that being careful about where my energy is spent is really important to my health and well-being.

Taking on unplanned big projects is old behavior for me, I used to be able to run several of them at the same time, nowadays I can’t. Now that doesn’t mean I can’t plan for big projects and still complete them but I’ve learned a few really important lessons from 2021:

  • Only work with people you know well enough to know what you are getting yourself into… and here’s the really important takeaway, people that you LIKE. And, if you discover you don’t like the way someone is behaving you can walk away. In fact, it is better to walk away rather than be compromised. I didn’t walk away and it is my single biggest annoyance and niggle from 2021.

  • Stay focussed on my own goals. Ok, 2021 was rather brilliant, and that by the mid part of the year I had the most part of my year’s dreams and goals started to be worked towards. The ‘Big Project’ took me off course and financially this wasn’t good for me and my art business. It did have other benefits of which I really appreciate but I also know that I earned the right to receive those. This year I’m sticking to my plans.

  • Plan more! Up until 2017, I was a great planner, the business that I was running required it, being a single mum with 3 children required it. I think somewhere in being diagnosed with cancer and all the relinquishment of planning long term that comes with that I had forgotten how important planning is. Why plan more? well when those ‘big projects’ come up, you can look over your month/season/annual planner and see if you actually have time to do it!

Before I took my ‘Much Needed Rest’ I took some time to sit down and go over my plans, goals, dreams, and hopes for 2022. It absolutely allowed me to be able to take the much-needed break, because I had already figured out the opportunities, planned how they were going to happen. I could see gaps for creation that I had planned in and I felt confident and organised about my return to the art working world today.

My year is full of learning, creating, organising, and community projects. It’s just the way I like it and this year I am only working with the people I like and love because life’s too short to work with anyone that doesn’t bring me joy.

Next to the page, the page also holds materials data.
1.
PBE GaSn3Ge, optimized geometry; E = -3.41 eV per atom; E above lowest polymorph = 0.000 eV/atom
1.0
5.3705 0.0000 0.0000
0.0000 5.3705 0.0000
0.0000 0.0000 5.3705
Ga Sn Ge
1 3 1
Direct
0.0000 0.0000 0.0000
0.0000 0.5000 0.5000
0.5000 0.0000 0.5000
0.5000 0.5000 0.0000
0.5000 0.5000 0.5000

***

2.
PBE Ga4SnGe, optimized geometry; E = -3.30 eV per atom
1.0
0.0000 3.9630 3.9630
3.9630 0.0000 3.9630
3.9630 3.9630 0.0000
Ga Sn Ge
4 1 1
Direct
0.1245 0.1245 0.1245
0.1245 0.1245 0.6264
0.1245 0.6264 0.1245
0.6264 0.1245 0.1245
0.5000 0.5000 0.5000
0.7500 0.7500 0.7500

***

Energy of formation from the pure elements for the records above, in order: 0.525, 0.154 eV/atom

~~~~~

# 1
{"formula": "Sr2SeI", "functional": "PBE", "state": "optimized geometry", "lattice": [[2.262, 1.306, 7.792], [-2.262, 1.306, 7.792], [0.000, -2.612, 7.792]], "species": ["Sr", "Sr", "Se", "I"], "fractional_positions": [[0.236, 0.236, 0.236], [0.764, 0.764, 0.764], [0.500, 0.500, 0.500], [0.000, 0.000, 0.000]], "rho_g_cm3": 4.58, "space_group": "R-3m (166)", "de_polymorph_ev_per_fu": 0.000, "dft_energy_ev_per_atom": -3.69, "formation_energy_uncorrected_ev_per_atom": -1.59}


# 2
{"formula": "FeAsRuBr2", "functional": "PBE", "state": "optimized geometry", "lattice": [[5.041, 0.000, 0.000], [0.000, 5.041, 0.000], [0.000, 0.000, 4.501]], "species": ["Fe", "As", "Ru", "Br", "Br"], "fractional_positions": [[0.000, 0.000, 0.000], [0.000, 0.000, 0.500], [0.500, 0.500, 0.500], [0.000, 0.500, 0.000], [0.500, 0.000, 0.000]], "rho_g_cm3": 5.69, "space_group": "P4/mmm (123)", "de_polymorph_ev_per_fu": 0.994, "dft_energy_ev_per_atom": -4.16, "formation_energy_uncorrected_ev_per_atom": 0.98}


# 3
{"formula": "Ca4Mg2Al", "functional": "PBE", "state": "optimized geometry", "lattice": [[2.716, 1.568, 8.931], [-2.716, 1.568, 8.931], [0.000, -3.136, 8.931]], "species": ["Ca", "Ca", "Ca", "Ca", "Mg", "Mg", "Al"], "fractional_positions": [[0.124, 0.124, 0.124], [0.375, 0.375, 0.375], [0.625, 0.625, 0.625], [0.876, 0.876, 0.876], [0.246, 0.246, 0.246], [0.754, 0.754, 0.754], [0.500, 0.500, 0.500]], "rho_g_cm3": 1.72, "formation_enthalpy_0k_ev_per_atom": -0.02, "space_group": "R-3m (166)", "dft_energy_ev_per_atom": -2.16}


# 4
{"formula": "HgSeI2", "functional": "PBE", "state": "optimized geometry", "lattice": [[4.418, 0.000, 0.000], [1.657, 4.307, 0.000], [1.224, 0.019, 8.333]], "species": ["Hg", "Se", "I", "I"], "fractional_positions": [[0.000, 0.000, 0.000], [0.554, 0.774, 0.143], [0.319, 0.068, 0.415], [0.995, 0.443, 0.760]], "rho_g_cm3": 5.59, "space_group": "P1 (1)", "de_polymorph_ev_per_fu": 0.208, "dft_energy_ev_per_atom": -1.83, "formation_energy_uncorrected_ev_per_atom": -0.11}

~~~~~

No. 1
# CsLiCaHf2 PBE relaxed
data_CsLiCaHf2
_symmetry_space_group_name_H-M 'P 4/m m m'
_symmetry_Int_Tables_number 123
_symmetry_space_group_name_Hall '-P 4 2'
_cell_length_a 5.596
_cell_length_b 5.596
_cell_length_c 5.999
_cell_angle_alpha 90.00
_cell_angle_beta 90.00
_cell_angle_gamma 90.00
loop_

Have a fab month, I’m posting here each month this year with updates, news and my musings.

Much love,

Jo x